Do you dare to rob?

Mu light song in his ear play abuse words, so that he convergence of the lips smile, eyes become gloomy down. He straightened his back slowly and stepped back slowly.

The people behind him, and those scattered on the pumice stone, also have poor eyesight.

Yes, what if she was a little emperor?

This is the West God land, even if she killed, any excuse, also prevaricate in the past. If he wants to investigate, that's what happened after her death.

Moreover, it is not only for him to change the God Emperor, they West God Lu four God domain God Emperor, also does not need to change him God Emperor weak!

By the wind of Mu nationality, the four God regions of the West God and the land of Lu were the strongest in all the God regions except jiuchongtian. Now, even more!

The signboard of the east god land is popular in the east god land, in the South God land, and in the North God land.

However, it can't be done in this land.

What's more, mu Qingge is just a little god now, so it's not sure whether you can be emperor in the future. Especially now, if she died here, do you still have to worry about her becoming the emperor after climbing to the top of the mountain, and then retaliate against them?

"Little God Emperor, I'd like to say hello to you. If you don't respect you, you are just an anonymous who died accidentally in the West God land. " The man said coldly to Mu Qingsong.

From his eyes to his manner, there was no respect at all.

Another person also sneered: "little God Emperor, although your cultivation is higher than all of us here, but don't forget that there are thousands of people here. Unless you are a saint now, it is more difficult to escape than to ascend to heaven. "

"I advise you to hand in what you get. Put things down, you go your way, we see that for the sake of changing Yue domain, we won't embarrass you. " Another one spoke.

Three people, you say a word and I a word, are forcing Mu light song.

Even, they have decided that mu Qingge must have got something from Mu Tianyin.

Whether it's what they want most or not, they have to get it.

Their purpose, never cover up, put in front of Mu light song.

What is worth it?

Mu Qingge understood in his heart that what they were referring to was the second volume of divine strategy.

Tianlu said that the second volume of Shence was divided into five parts. Among them, he got two copies. Not long ago, she got one from the South God Lu Wuhua, and the remaining two were missing.

At that time, the news from Wuhua area was that the remaining evils of the Mu family had stolen a very important thing of Wuhua God Emperor.

Such a description, I am afraid that the gods and emperors who participated in the conspiracy against the Mu people were all aware of it.

Therefore, they would like to snatch in front of the Wuhua emperor and get the lost part of the magic strategy Volume II.

This is mu Qingge who planted the booty to frame Mu Tianyin and let him carry the pot for himself. However, I don't want to be taken as a reason to embarrass myself by these disciples of the Western God Lu Shenyu.

I'm afraid they can't think of it. They were just holding the idea of killing wrong rather than let go, to ask mu Qingge, but really asked the Lord!

Muqingge didn't think of it, nor did they.

However, no matter who didn't think of it, mu Qingge now confronted thousands of them, waiting for her to nod or shake her head.

"Little God Emperor, your decision represents a different result. You have to think about it." The man said another word before mu Qingge opened his mouth.

Mu light song but suddenly laughed, "since we can't talk to each other, then kill it."


That person a Leng, did not respond to come over, then laugh wildly more than.

Mu Qingge raised his eyes and looked at him. He didn't understand what he was laughing at.

Next to the piece, the page also holds data records:
- - -
Record 1
# C25H32N5O7

A cluster of 4 separate species, C25H32N5O7 in total in a non-equilibrium geometry (ωB97M-V/def2-TZVPD, OMol25).

Last column: Löwdin charge in e.
Element x y z (Å)
N  -2.97  2.30  -4.62  -0.048
C  -1.48  2.40  -4.38  -0.205
C  -0.75  1.00  -3.92  -0.325
O  0.66  1.09  -4.39  -0.109
C  -1.44  -0.37  -4.50  -0.084
C  -1.11  -1.68  -3.54  -0.238
C  -2.24  -2.17  -2.46  -0.103
C  -1.76  -1.28  -1.14  -0.120
N  -0.22  -1.16  -1.17  0.026
C  0.21  -1.65  -2.57  -0.082
H  -3.48  1.79  -3.86  0.071
H  -3.20  1.94  -5.57  0.078
H  -1.33  3.17  -3.48  0.131
H  -0.93  2.86  -5.31  0.142
H  -0.74  0.97  -2.75  0.110
H  1.20  1.17  -3.53  0.114
H  -2.60  -0.32  -4.64  0.114
H  -0.98  -0.55  -5.58  0.146
H  -0.93  -2.66  -4.19  0.154
H  -3.37  -2.14  -2.76  0.141
H  -1.97  -3.27  -2.10  0.110
H  -2.31  -0.23  -1.19  0.144
H  -2.08  -1.79  -0.13  0.142
H  0.17  -1.67  -0.34  0.185
H  0.04  -0.15  -0.93  0.142
H  1.16  -1.12  -3.04  0.157
H  0.46  -2.78  -2.33  0.121
C  -3.32  -8.58  -2.62  -0.058
C  -3.00  -7.68  -1.61  -0.061
C  -1.97  -6.75  -1.80  -0.009
C  -1.28  -6.74  -3.02  -0.146
C  -1.60  -7.65  -4.03  0.007
C  -2.62  -8.57  -3.83  -0.053
N  -0.22  -5.75  -3.24  -0.311
O  0.05  -4.97  -2.31  0.008
O  0.35  -5.74  -4.34  0.082
H  -4.13  -9.30  -2.46  0.115
H  -3.55  -7.69  -0.67  0.112
H  -1.73  -6.05  -1.00  0.113
H  -1.06  -7.65  -4.98  0.123
H  -2.88  -9.28  -4.61  0.115
C  1.53  2.01  4.04  -0.049
C  1.83  1.45  2.80  -0.063
C  0.96  1.63  1.72  -0.021
C  -0.22  2.38  1.91  -0.147
C  -0.52  2.93  3.16  0.020
C  0.36  2.74  4.23  -0.045
N  -1.13  2.60  0.78  -0.313
O  -0.83  2.07  -0.31  0.002
O  -2.14  3.29  0.97  0.097
H  2.22  1.87  4.88  0.116
H  2.74  0.88  2.66  0.111
H  1.20  1.19  0.76  0.097
H  -1.43  3.51  3.32  0.127
H  0.13  3.17  5.20  0.089
C  5.27  6.51  5.52  -0.067
C  4.00  6.47  4.94  -0.065
C  2.98  5.73  5.53  -0.004
C  3.24  5.03  6.72  -0.145
C  4.51  5.06  7.30  0.003
C  5.52  5.80  6.70  -0.060
N  2.16  4.26  7.36  -0.311
O  1.05  4.25  6.80  0.028
O  2.42  3.69  8.43  0.078
H  6.06  7.09  5.06  0.111
H  3.81  7.02  4.02  0.110
H  2.00  5.71  5.06  0.116
H  4.72  4.52  8.22  0.122
H  6.51  5.84  7.15  0.112

Properties
E_HOMO = -11.3 eV
Charge = +1
Energy = -1771.66371 Eh
Gap between HOMO and LUMO = 7.860 eV


Record 2
# C25H32N6O3S

An isolated molecule of C25H32N6O3S in a non-equilibrium geometry (ωB97M-V/def2-TZVPD, OMol25).

Last column: Löwdin charge in e.
Element x y z (Å)
C  -4.48  -5.64  -4.68  -0.066
C  -3.63  -4.45  -5.08  -0.226
O  -3.79  -3.44  -4.08  -0.013
C  -3.10  -2.30  -4.31  -0.541
O  -2.38  -2.13  -5.27  0.094
N  -3.34  -1.36  -3.36  -0.040
C  -4.06  -1.60  -2.13  -0.108
C  -3.10  -1.57  -0.93  -0.120
N  -2.37  -0.32  -0.93  -0.050
C  -2.10  0.49  0.12  -0.547
O  -1.34  1.43  0.01  0.017
C  -2.80  0.23  1.45  -0.335
S  -1.55  0.35  2.76  0.997
C  -0.33  -0.57  1.94  -0.622
N  -0.55  -1.48  1.04  0.040
N  0.64  -1.89  0.58  0.079
C  1.57  -1.22  1.20  -0.320
- - -
Back to the piece:

When he laughed, he saw Xiangmu Qingge and jokingly said, "is the little God Emperor captured like this? For something that doesn't belong to you, you have to give up your life and your bright future? "

After listening to his words, mu Qingge understood what he was laughing at.

She slowly shook her head and explained in his puzzled eyes, "you understand wrong. I mean, if you don't give up, then I'll have to kill you."


Mu light song words out, thousands of people at the same time a Leng.

Then, out of thousands of people, they burst out laughing wildly. They are laughing at the light song, yes, laughing at her arrogance, laughing at her is just fantastic.

"Little emperor, are you sure you are right? You want to kill all of us by yourself? " Then he jokingly said, "you should know that as long as one of us is immortal and returns to the divine realm, you will all face the joint pursuit of the Western God and the four divine regions."

Thousands of people's eyes are full of banter and ridicule. They look at Xiangmu Qingge as if they are looking at some joke.

However, mu Qingge did not care. With a cold smile, she reached out and grabbed the Linglong gun which was inserted in Mu Tianyin's head, and the Linglong gun flew back to her hand in an instant. "So, what I have to do first is to make you all can't escape."Her voice just fell, behind her, suddenly appeared a white python, roaring up the sky, hovering in the sky, holding all directions, once anyone wanted to escape, she would be swallowed.

"Nine Jue swallow day Python!"

Thousands of people looked up in the shadow. And that and Mu light song has been entangled people, face a change, recognize the origin of white.

"It's nine Jue swallowing python." Tianlu didn't look at the mirror, but looked up at the huge figure in the nine fold sky.

The most frightening thing about orcs is that they have a very large body.

Bai Bi completely released her own noumenon, and the thousands of people in front of her seemed to have no momentum.

Her golden pupils, staring at everyone coldly, seemed to be looking at delicious food.

When people were shocked, there were two figures around mu Qingge, one silver and one black, respectively silver dust and Chen. Long Ya Wei and long Yu Wei, their accomplishments are still too low, and it's useless to release them, so mu Qingge doesn't release them either.

However, she released a thousand of the adherents.

All of a sudden, behind her, there was an array of thousands of people.

These adherents, who fled from here ten thousand years ago, are the people of shenlu. At this time, he came back to the land of God, and after being re branded with the mark of slaves by the song of admiration, his accomplishments were restored day by day.

At the moment, although they have not fully recovered, they have also recovered to the cultivation of more than three levels in the spirit cave. They are definitely a group of rare combat power.

Looking at the group of people who suddenly appeared, the thousands of disciples in the divine realm were shocked and even forgot to do something.

However, this is not enough.

Mu light song sneers, behind her, two people appear out of thin air.

The most terrifying thing is that as soon as these two people appeared, they brought a terrible momentum, which suddenly fell on them , the fastest update of the webnovel!